== Work order ==
Next, type out the data below without altering anything.

== Data ==
........
# 1
ORCA calculation (wB97M-V/def2-TZVPD) on a structure of composition C23H60F9NO17S3Sn at a distorted geometry.

Calculated values
HOMO = -9.47 eV

ORCA input file:
```
! wB97M-V def2-TZVPD RIJCOSX def2/J DEFGRID3
* xyz 0 1
Sn 0.3003 -0.5514 0.0867
C -3.5800 -0.0893 -3.4157
F -3.7847 -0.1688 -2.0951
F -4.1468 -1.1587 -4.0041
F -4.1531 1.0025 -3.8598
S -1.6640 0.0328 -3.7418
O -1.4201 1.0443 -4.8216
O -1.1080 0.4941 -2.4487
N -1.1398 -1.6356 -3.9541
S -1.1769 -1.7473 -5.5290
O -2.3979 -1.2480 -6.1575
O 0.0940 -1.3534 -6.1700
C -1.2570 -3.7128 -5.6304
F -1.2956 -4.0336 -6.9075
F -0.2045 -4.3202 -5.0064
F -2.3873 -4.0864 -5.0673
C -2.0135 -5.0526 2.5195
F -2.6277 -5.6080 3.5643
F -0.9427 -5.7346 2.2271
F -2.8007 -5.0170 1.4401
S -1.4244 -3.2436 2.9854
O -1.0975 -2.5558 1.7000
O -2.5687 -2.6336 3.7199
O -0.2144 -3.4025 3.8136
C 1.2838 3.2360 -2.5319
C 1.8410 2.6073 -1.2705
O 0.8660 2.5119 -0.2061
H 0.9350 4.2581 -2.3848
H 0.5285 2.6420 -3.0465
H 2.1306 3.3497 -3.2087
H 2.7194 3.1703 -0.9549
H 2.1565 1.5815 -1.4609
H 0.7562 3.3979 0.1468
C 2.9833 -0.6940 -4.5051
C 2.4397 -1.6535 -3.4052
O 1.3196 -0.9896 -2.8292
H 3.8780 -1.1464 -4.9328
H 3.1941 0.2960 -4.1005
H 2.3124 -0.5784 -5.3564
H 3.1696 -1.9189 -2.6404
H 2.1178 -2.6061 -3.8260
H 0.5133 -1.3663 -3.1893
C 2.1233 -4.7425 1.6461
C 2.3757 -3.2259 1.5249
O 2.3587 -2.9351 0.1874
H 1.1544 -4.9856 1.2100
H 2.0896 -5.0699 2.6852
H 2.9143 -5.3074 1.1527
H 3.2910 -2.9351 2.0404
H 1.6017 -2.7173 2.0997
H 3.1087 -3.3712 -0.2237
C -2.3901 5.1175 -1.6802
C -2.2160 3.6005 -1.5740
O -3.2549 3.0315 -0.8270
H -2.4306 5.5143 -0.6658
H -3.3263 5.2963 -2.2089
H -1.6318 5.6768 -2.2283
H -1.2235 3.3798 -1.1813
H -2.2584 3.1067 -2.5448
H -4.1005 3.1049 -1.2754
C 3.2161 3.3094 2.7562
C 3.5231 2.4728 3.9811
O 4.0710 1.2335 3.6198
H 2.5791 4.0929 3.1665
H 2.7174 2.8395 1.9085
H 4.1741 3.7180 2.4345
H 2.6228 2.2796 4.5643
H 4.2689 3.0075 4.5693
H 5.0217 1.3095 3.7290
C -3.6803 -3.5714 -1.4910
C -2.1904 -3.7383 -1.4801
O -1.5105 -2.5321 -1.5796
H -3.9157 -2.7990 -0.7588
H -4.2206 -4.4842 -1.2399
H -4.0932 -3.2756 -2.4554
H -1.9109 -4.4717 -2.2365
H -1.8622 -4.2209 -0.5595
H -1.3521 -2.3416 -2.5071
C -3.7654 0.3138 2.2522
C -3.4333 0.0403 0.8119
O -2.2928 0.8526 0.5404
H -3.0043 -0.0814 2.9250
H -4.6925 -0.2103 2.4843
H -4.0245 1.3437 2.4979
H -4.2453 0.2001 0.1024
H -3.1425 -1.0058 0.7166
H -2.6384 1.6593 0.1513
C -2.5749 4.1950 2.9327
C -1.2258 3.6004 2.6258
O -0.2750 4.3207 3.3088
H -2.5148 5.2438 2.6422
H -2.9997 4.1331 3.9346
H -3.3022 3.7041 2.2860
H -1.0505 3.5777 1.5502
H -1.1674 2.5502 2.9116
H -0.4390 4.3425 4.2544
C 1.5025 -0.7446 4.5815
C 0.2898 0.0376 4.1412
O 0.7588 0.7359 2.9884
H 1.1976 -1.3609 5.4273
H 2.2065 -0.0466 5.0346
H 1.9292 -1.4420 3.8607
H -0.0850 0.7364 4.8890
H -0.4578 -0.7130 3.8850
H 1.3108 1.4271 3.3613
C 5.0505 1.2947 0.2071
C 4.2803 0.0397 0.4315
O 3.1011 0.2749 1.2012
H 6.0226 1.1011 -0.2463
H 5.2595 1.8343 1.1308
H 4.4515 1.9381 -0.4374
H 4.8147 -0.7476 0.9630
H 4.0405 -0.4252 -0.5248
H 3.3382 0.5967 2.0740
*
```

These are the Mulliken partial charges, in e, on atoms 1 to 4: atom 1 (Sn): 0.82, atom 2 (C): 0.60, atom 3 (F): -0.08, atom 4 (F): -0.21

# 2
ORCA calculation (wB97M-V/def2-TZVPD) on a cluster of 8 separate species, C23H62O9 in total at a distorted geometry.

Calculated values
SMILES string = CC(C)O.CC(C)O.CC(C)O.CC(C)O.CC(C)O.CC(C)O.CC(C)O.OCCO
Energy above the lowest of the compared OMol25 structures with the same formula, charge and spin = 0.00 kcal/mol
HOMO = -9.43 eV

ORCA input file:
```
! wB97M-V def2-TZVPD RIJCOSX def2/J DEFGRID3
* xyz 0 1
C 17.6884 -12.4435 -9.7659
C 17.5710 -12.3995 -8.2539
C 16.1572 -12.6298 -7.7659
O 18.4437 -13.3877 -7.7193
H 18.7484 -12.4685 -10.0248
H 17.2896 -11.5200 -10.1896
H 17.1731 -13.2974 -10.2050
H 17.9095 -11.4071 -7.9236
H 15.4265 -12.0031 -8.2921
H 16.0192 -12.4875 -6.6952
H 15.8380 -13.6426 -8.0494
H 18.3558 -13.3792 -6.7429
C 14.4093 -12.3657 -4.1062
C 15.1431 -11.9267 -2.8483
C 15.2159 -13.0538 -1.8027
........

== Written answer ==
# 1
ORCA calculation (wB97M-V/def2-TZVPD) on a structure of composition C23H60F9NO17S3Sn at a distorted geometry.

Calculated values
HOMO = -9.47 eV

ORCA input file:
```
! wB97M-V def2-TZVPD RIJCOSX def2/J DEFGRID3
* xyz 0 1
Sn 0.3003 -0.5514 0.0867
C -3.5800 -0.0893 -3.4157
F -3.7847 -0.1688 -2.0951
F -4.1468 -1.1587 -4.0041
F -4.1531 1.0025 -3.8598
S -1.6640 0.0328 -3.7418
O -1.4201 1.0443 -4.8216
O -1.1080 0.4941 -2.4487
N -1.1398 -1.6356 -3.9541
S -1.1769 -1.7473 -5.5290
O -2.3979 -1.2480 -6.1575
O 0.0940 -1.3534 -6.1700
C -1.2570 -3.7128 -5.6304
F -1.2956 -4.0336 -6.9075
F -0.2045 -4.3202 -5.0064
F -2.3873 -4.0864 -5.0673
C -2.0135 -5.0526 2.5195
F -2.6277 -5.6080 3.5643
F -0.9427 -5.7346 2.2271
F -2.8007 -5.0170 1.4401
S -1.4244 -3.2436 2.9854
O -1.0975 -2.5558 1.7000
O -2.5687 -2.6336 3.7199
O -0.2144 -3.4025 3.8136
C 1.2838 3.2360 -2.5319
C 1.8410 2.6073 -1.2705
O 0.8660 2.5119 -0.2061
H 0.9350 4.2581 -2.3848
H 0.5285 2.6420 -3.0465
H 2.1306 3.3497 -3.2087
H 2.7194 3.1703 -0.9549
H 2.1565 1.5815 -1.4609
H 0.7562 3.3979 0.1468
C 2.9833 -0.6940 -4.5051
C 2.4397 -1.6535 -3.4052
O 1.3196 -0.9896 -2.8292
H 3.8780 -1.1464 -4.9328
H 3.1941 0.2960 -4.1005
H 2.3124 -0.5784 -5.3564
H 3.1696 -1.9189 -2.6404
H 2.1178 -2.6061 -3.8260
H 0.5133 -1.3663 -3.1893
C 2.1233 -4.7425 1.6461
C 2.3757 -3.2259 1.5249
O 2.3587 -2.9351 0.1874
H 1.1544 -4.9856 1.2100
H 2.0896 -5.0699 2.6852
H 2.9143 -5.3074 1.1527
H 3.2910 -2.9351 2.0404
H 1.6017 -2.7173 2.0997
H 3.1087 -3.3712 -0.2237
C -2.3901 5.1175 -1.6802
C -2.2160 3.6005 -1.5740
O -3.2549 3.0315 -0.8270
H -2.4306 5.5143 -0.6658
H -3.3263 5.2963 -2.2089
H -1.6318 5.6768 -2.2283
H -1.2235 3.3798 -1.1813
H -2.2584 3.1067 -2.5448
H -4.1005 3.1049 -1.2754
C 3.2161 3.3094 2.7562
C 3.5231 2.4728 3.9811
O 4.0710 1.2335 3.6198
H 2.5791 4.0929 3.1665
H 2.7174 2.8395 1.9085
H 4.1741 3.7180 2.4345
H 2.6228 2.2796 4.5643
H 4.2689 3.0075 4.5693
H 5.0217 1.3095 3.7290
C -3.6803 -3.5714 -1.4910
C -2.1904 -3.7383 -1.4801
O -1.5105 -2.5321 -1.5796
H -3.9157 -2.7990 -0.7588
H -4.2206 -4.4842 -1.2399
H -4.0932 -3.2756 -2.4554
H -1.9109 -4.4717 -2.2365
H -1.8622 -4.2209 -0.5595
H -1.3521 -2.3416 -2.5071
C -3.7654 0.3138 2.2522
C -3.4333 0.0403 0.8119
O -2.2928 0.8526 0.5404
H -3.0043 -0.0814 2.9250
H -4.6925 -0.2103 2.4843
H -4.0245 1.3437 2.4979
H -4.2453 0.2001 0.1024
H -3.1425 -1.0058 0.7166
H -2.6384 1.6593 0.1513
C -2.5749 4.1950 2.9327
C -1.2258 3.6004 2.6258
O -0.2750 4.3207 3.3088
H -2.5148 5.2438 2.6422
H -2.9997 4.1331 3.9346
H -3.3022 3.7041 2.2860
H -1.0505 3.5777 1.5502
H -1.1674 2.5502 2.9116
H -0.4390 4.3425 4.2544
C 1.5025 -0.7446 4.5815
C 0.2898 0.0376 4.1412
O 0.7588 0.7359 2.9884
H 1.1976 -1.3609 5.4273
H 2.2065 -0.0466 5.0346
H 1.9292 -1.4420 3.8607
H -0.0850 0.7364 4.8890
H -0.4578 -0.7130 3.8850
H 1.3108 1.4271 3.3613
C 5.0505 1.2947 0.2071
C 4.2803 0.0397 0.4315
O 3.1011 0.2749 1.2012
H 6.0226 1.1011 -0.2463
H 5.2595 1.8343 1.1308
H 4.4515 1.9381 -0.4374
H 4.8147 -0.7476 0.9630
H 4.0405 -0.4252 -0.5248
H 3.3382 0.5967 2.0740
*
```

These are the Mulliken partial charges, in e, on atoms 1 to 4: atom 1 (Sn): 0.82, atom 2 (C): 0.60, atom 3 (F): -0.08, atom 4 (F): -0.21

# 2
ORCA calculation (wB97M-V/def2-TZVPD) on a cluster of 8 separate species, C23H62O9 in total at a distorted geometry.

Calculated values
SMILES string = CC(C)O.CC(C)O.CC(C)O.CC(C)O.CC(C)O.CC(C)O.CC(C)O.OCCO
Energy above the lowest of the compared OMol25 structures with the same formula, charge and spin = 0.00 kcal/mol
HOMO = -9.43 eV

ORCA input file:
```
! wB97M-V def2-TZVPD RIJCOSX def2/J DEFGRID3
* xyz 0 1
C 17.6884 -12.4435 -9.7659
C 17.5710 -12.3995 -8.2539
C 16.1572 -12.6298 -7.7659
O 18.4437 -13.3877 -7.7193
H 18.7484 -12.4685 -10.0248
H 17.2896 -11.5200 -10.1896
H 17.1731 -13.2974 -10.2050
H 17.9095 -11.4071 -7.9236
H 15.4265 -12.0031 -8.2921
H 16.0192 -12.4875 -6.6952
H 15.8380 -13.6426 -8.0494
H 18.3558 -13.3792 -6.7429
C 14.4093 -12.3657 -4.1062
C 15.1431 -11.9267 -2.8483
C 15.2159 -13.0538 -1.8027